Control of Invasive Species in Lake Tahoe
Invasive species prevention in the Tahoe Keys canals
Our customer, The Tahoe Keys Owners Association (TKPOA) identified a clear goal to reduce the bio volume of invasive species in the Tahoe Keys Canals. This goal led them to work with experts in the field to identify tailored solutions, of which a bubble curtain was included as part of the analysis. The addition of bubble curtains to fight the invasive species was part of a complete strategy, including other activities such as boat backup stations for boats entering the canal (helps to dislodge algae or marine plants stuck to the boat), addition of oxygen diffusers to help decrease nutrient loads in the water, a bubble curtain by Bubble Tubing® to deflect debris that are collected by a collector. An awareness campaign to publicize the challenges of invasive species in the canals has also been implemented through newsletters and social media posts with the help of a second association called: League to save Lake Tahoe- Keep Tahoe Blue
How does a bubble curtain work?
The use of Bubble Tubing® immersed in water creates a curtain of micro-bubbles which, rising to the surface, expand and act as a barrier. A bubble curtain can prevent floating debris from entering a channel such as floating algae or plastic debris. Strategically positioned, the bubble curtain creates a current that will push algae and debris to a collecting area. The bubble curtain allows the passage of boats and marine animals while keeping the algae debris in the desired area as illustrated in the image below.
The Bubble Tubing® is a linear air diffuser for aeration, de-icing and bubble curtains. It is designed and manufactured in Canada to our specifications.
Fine bubble diffusers such as our Bubble Tubing® produce many tiny air bubbles (less than 1 mm in diameter). Tiny bubbles rise steadily from the floor of a wastewater treatment basin or the bottom of waterways and canals, ponds, lakes or lagoons. These bubbles provide substantial and efficient mass transfer of oxygen into the water.
Compressed air enters the tubing, creating an inner pressure. It is released through perforations thanks to the precision holes found along both sides of the entire length of tubing. The ensuing micro-bubbles are efficient in preventing clogging and fouling (typically found in porous diffusers), of the entire length of tubing. They form a bubble curtain of uniformed and evenly dispersed fine bubbles.
The article is interrupted by data records:
┌──
[1]
{"formula": "CdBiBF10", "functional": "PBE", "state": "optimized geometry", "formation_enthalpy_0k_ev_per_atom": -2.5581, "final_energy_ev_per_atom": -4.559, "sg": "P2_1/c, No. 14", "vol_a3_per_atom": 14.607, "cell": [[8.574, 0.000, 0.000], [0.000, 9.620, 0.000], [-0.691, 0.000, 9.210]], "species": ["Cd", "Cd", "Cd", "Cd", "Bi", "Bi", "Bi", "Bi", "B", "B", "B", "B", "F", "F", "F", "F", "F", "F", "F", "F", "F", "F", "F", "F", "F", "F", "F", "F", "F", "F", "F", "F", "F", "F", "F", "F", "F", "F", "F", "F", "F", "F", "F", "F", "F", "F", "F", "F", "F", "F", "F", "F"], "fractional_positions": [[0.174, 0.021, 0.284], [0.174, 0.479, 0.784], [0.826, 0.521, 0.216], [0.826, 0.979, 0.716], [0.336, 0.066, 0.737], [0.336, 0.434, 0.237], [0.664, 0.566, 0.763], [0.664, 0.934, 0.263], [0.059, 0.731, 0.504], [0.059, 0.769, 0.004], [0.941, 0.231, 0.996], [0.941, 0.269, 0.496], [0.030, 0.149, 0.099], [0.030, 0.351, 0.599], [0.042, 0.191, 0.413], [0.042, 0.309, 0.913], [0.093, 0.056, 0.721], [0.093, 0.444, 0.221], [0.152, 0.642, 0.597], [0.152, 0.858, 0.097], [0.158, 0.678, 0.933], [0.158, 0.822, 0.433], [0.321, 0.219, 0.235], [0.321, 0.281, 0.735], [0.323, 0.072, 0.513], [0.323, 0.428, 0.013], [0.343, 0.642, 0.237], [0.343, 0.858, 0.737], [0.345, 0.078, 0.955], [0.345, 0.422, 0.455], [0.423, 0.571, 0.763], [0.423, 0.929, 0.263], [0.577, 0.071, 0.737], [0.577, 0.429, 0.237], [0.655, 0.578, 0.545], [0.655, 0.922, 0.045], [0.657, 0.142, 0.263], [0.657, 0.358, 0.763], [0.677, 0.572, 0.987], [0.677, 0.928, 0.487], [0.679, 0.719, 0.265], [0.679, 0.781, 0.765], [0.842, 0.178, 0.567], [0.842, 0.322, 0.067], [0.848, 0.142, 0.903], [0.848, 0.358, 0.403], [0.907, 0.556, 0.779], [0.907, 0.944, 0.279], [0.958, 0.691, 0.087], [0.958, 0.809, 0.587], [0.970, 0.649, 0.401], [0.970, 0.851, 0.901]]}

---

[2]
{"formula": "Cd4BiB3O10", "functional": "PBE", "state": "optimized geometry", "formation_enthalpy_0k_ev_per_atom": -2.0708, "final_energy_ev_per_atom": -5.972, "sg": "Cm, No. 8", "vol_a3_per_atom": 12.712, "cell": [[4.064, -8.020, 0.000], [4.064, 8.020, 0.000], [-0.637, 0.000, 3.510]], "species": ["Cd", "Cd", "Cd", "Cd", "Bi", "B", "B", "B", "O", "O", "O", "O", "O", "O", "O", "O", "O", "O"], "fractional_positions": [[0.115, 0.885, 0.000], [0.198, 0.555, 0.682], [0.555, 0.198, 0.682], [0.885, 0.115, 0.000], [0.644, 0.644, 0.333], [0.262, 0.262, 0.620], [0.497, 0.895, 0.250], [0.895, 0.497, 0.250], [0.027, 0.676, 0.447], [0.103, 0.254, 0.567], [0.254, 0.103, 0.567], [0.407, 0.953, 0.048], [0.410, 0.704, 0.248], [0.435, 0.435, 0.730], [0.676, 0.027, 0.447], [0.704, 0.410, 0.248], [0.829, 0.829, 0.911], [0.953, 0.407, 0.048]]}

---

[3]
└──
The Tahoe Keys curtain was installed as a V shape to allow a better deflection of debris.

Efficacy of the bubble curtain
During the summer of 2020, the bubble curtain was in operation for a total of 131 days. In addition to providing oxygen to the canals where the bubble curtain was installed, a total of 95 cubic feet of organic matter were collected over the period the system was in operation which means that all this quantity was prevented from entering the Tahoe Keys canal. The Bubble Tubing® helped invasive species from entering and spreading.
A year later, a second curtain was sold to TKPOA to be installed on another location. The results identified in this case study does not include this second curtain.
You have a Bubble curtain project in progress? Contact us, it will be our pleasure to help you in the development of your project.
*Full report available upon demand*
Owners’ association TKPOA (Tahoe Keys Property Owners Association) website :
League to Save Lake Tahoe – Keep Tahoe Blue. Website :